Talk of a feature film adaptation of the canceled Fox television series “Arrested Development” just will not go away, and each time it is the nugget of news offered up is so small it is hardly worthy of mention. However, I think enough has happened recently for me to at least ask why everyone is so interested.
Sure, I liked the show, but it ran its course and I can’t imagine a feature film adaptation actually being successful. “Arrested Development” was an acquired taste if there ever was one. It was a show that required the audience to be patient and allow the comedy to grow with each week. This is why the show was soon funny, the longer you stuck with it the more you got to know the characters, and the funnier their antics became. The show got to be so funny in fact they had to cancel it.
Now we have Ron Howard telling MAXIM in the video to the right talking how promising the whole idea is except they need one thing… a script. The Hollywood Reporter added a similar sentiment today saying the film looks like it may land at Fox Searchlight with Mitch Hurwitz writing and directing. We already know the cast wants to do it as we have often heard quotes from Jason Bateman, Will Arnett and Jeffrey Tambor talking about how either they would like to do the film or that they have actually heard it is a go.
**These records of crystals were left in the piece by mistake**
┌──
A geometry-optimized LaCdBr structure. Source: the Alexandria database, functional GGA-PBE.

Cell lengths 5.2242, 5.2242, 3.9328 Å; angles 90.00, 90.00, 120.00 degrees
Space group P-6m2 (No. 187)
One atom of each set of equivalent atoms:
La 0.0000 0.0000 0.0000 [1 per cell]
Cd 0.3333 0.6667 0.5000 [1 per cell]
Br 0.6667 0.3333 0.0000 [1 per cell]

Output
The energy above the most stable polymorph in this dataset is 307 meV/atom. As for the formation energy from raw total energies: -0.679 eV/atom.

***

A geometry-optimized LaCdBr2 structure. Source: the Alexandria database, functional GGA-PBE.

Cell lengths 4.484, 4.484, 11.157 Å; angles 90.00, 90.00, 90.00 degrees
Space group I-4m2 (No. 119)
One atom of each set of equivalent atoms:
La 0.000 0.000 0.000 [2 per cell]
Cd 0.000 0.500 0.250 [2 per cell]
Br 0.000 0.000 0.500 [2 per cell]
Br 0.000 0.500 0.750 [2 per cell]

Output
The energy above the most stable polymorph in this dataset is 233 meV/atom. As for the formation energy from raw total energies: -0.966 eV/atom.

***

A geometry-optimized LaCdBr structure. Source: the Alexandria database, functional GGA-PBE.

Cell lengths 3.697, 3.697, 14.650 Å; angles 90.00, 90.00, 90.00 degrees
Space group I4mm (No. 107)
One atom of each set of equivalent atoms:
La 0.000 0.000 0.000 [2 per cell]
Cd 0.000 0.000 0.349 [2 per cell]
Br 0.000 0.000 0.620 [2 per cell]

Output
The energy above the most stable polymorph in this dataset is 244 meV/atom. As for the formation energy from raw total energies: -0.742 eV/atom.

* * * * *

MgAg2Sn2: optimized geometry, GGA-PBE.

abc: 8.222 8.222 3.466
angles: 90.00 90.00 90.00
Sites, in units of the cell vectors:
1 Mg 0.000 0.000 0.000
2 Mg 0.500 0.500 0.000
3 Sn 0.330 0.830 0.000
4 Sn 0.830 0.670 0.000
5 Sn 0.670 0.170 0.000
6 Sn 0.170 0.330 0.000
7 Ag 0.126 0.626 0.500
8 Ag 0.626 0.874 0.500
9 Ag 0.874 0.374 0.500
10 Ag 0.374 0.126 0.500

Space-group type: P4/mbm (127)
Total DFT energy (no corrections) in eV/atom: -2.976
Calculated density in g/cm3: 6.8
DFT formation energy in eV/atom: 0.08

* * * * *

[1]
## CeCr2GeC (PBE)

Data for a relaxed CeCr2GeC crystal.

Structure (POSCAR):
```
CeCr2GeC
1.0
2.674 -5.564 0.000
2.674 5.564 0.000
0.000 0.000 5.368
Ce Cr Ge C
2 4 2 2
Cartesian
2.674 2.799 4.026
2.674 -2.799 1.342
1.466 0.000 0.000
1.466 0.000 2.684
3.882 0.000 0.000
3.882 0.000 2.684
2.674 4.111 1.342
2.674 -4.111 4.026
2.674 0.728 1.342
2.674 -0.728 4.026
```


[2]
## Ce2HfCr2C4 (PBE)

Data for a relaxed Ce2HfCr2C4 crystal.

Structure (POSCAR):
```
Ce2HfCr2C4
1.0
6.357 -1.651 0.000
6.357 1.651 0.000
-1.780 0.000 5.731
Ce Hf Cr C
2 1 2 4
Cartesian
1.566 0.000 0.208
9.368 0.000 5.523
-0.890 0.000 2.866
3.183 0.000 2.848
7.751 0.000 2.883
1.508 0.000 3.992
4.540 0.000 4.205
6.394 0.000 1.526
9.426 0.000 1.739
```


[3]
## CeHo2Cr2C4 (PBE)

Data for a relaxed CeHo2Cr2C4 crystal.

Structure (POSCAR):
```
CeHo2Cr2C4
1.0
6.556 -1.700 0.000
6.556 1.700 0.000
-2.239 0.000 5.571
Ce Ho Cr C
1 2 2 4
Cartesian
└──
Tambor was most recently quoted saying:
“Well no, because we’re doing it. We are going. It’s a go. I actually just this week talked to Mitch Hurwitz, so we’re doing it. When the writer calls you, and the director, and the executive producer calls you, it’s a pretty good sign.”
Data records, kept here for reference =
Entry 1:
First-principles (GGA-PBE) data for a relaxed Cr2ReSi crystal, as listed in the Alexandria database. Values from VASP.

D(E_F)	0.974	states/eV per atom
energy relative to the elements, uncorrected	10	meV/atom
volume	12.7	Å³ per atom

```
&SYSTEM
  ibrav = 0, nat = 4, ntyp = 3
/
ATOMIC_SPECIES
Cr 52.00 Cr.upf
Re 186.21 Re.upf
Si 28.09 Si.upf
CELL_PARAMETERS angstrom
2.4717 -4.1002 0.0000
2.4717 4.1002 0.0000
-0.8358 0.0000 2.5082
ATOMIC_POSITIONS crystal
Cr 0.0000 0.5000 0.0000
Cr 0.5000 0.0000 0.0000
Re 0.0000 0.0000 0.5000
Si 0.5000 0.5000 0.5000
```



Entry 2:
First-principles (GGA-PBE) data for a relaxed Cr2ReSi crystal, as listed in the Alexandria database. Values from VASP.

D(E_F)	0.592	states/eV per atom
energy relative to the elements, uncorrected	-25	meV/atom
volume	12.6	Å³ per atom

```
&SYSTEM
  ibrav = 0, nat = 4, ntyp = 3
/
ATOMIC_SPECIES
Cr 52.00 Cr.upf
Re 186.21 Re.upf
Si 28.09 Si.upf
CELL_PARAMETERS angstrom
2.7366 0.0000 0.0000
0.0000 2.7366 0.0000
0.0000 0.0000 6.7083
ATOMIC_POSITIONS crystal
Cr 0.0000 0.0000 0.2337
Cr 0.0000 0.0000 0.7663
Re 0.5000 0.5000 0.5000
Si 0.5000 0.5000 0.0000
```



Entry 3:
First-principles (GGA-PBE) data for a relaxed CrReSi2 crystal, as listed in the Alexandria database. Values from VASP.

D(E_F)	0.889	states/eV per atom
energy relative to the elements, uncorrected	56	meV/atom
volume	13.2	Å³ per atom

```
&SYSTEM
  ibrav = 0, nat = 4, ntyp = 3
/
ATOMIC_SPECIES
Cr 52.00 Cr.upf
Re 186.21 Re.upf
Si 28.09 Si.upf
CELL_PARAMETERS angstrom
2.7847 0.0000 0.0000
0.0000 3.8182 0.0000
-0.4749 0.0000 4.9530
ATOMIC_POSITIONS crystal
Cr 0.0000 0.0000 0.0000
Re 0.5000 0.0000 0.5000
Si 0.2032 0.5000 0.7575
Si 0.7968 0.5000 0.2425
```



Entry 4:
First-principles (GGA-PBE) data for a relaxed CrReSi2 crystal, as listed in the Alexandria database. Values from VASP.

D(E_F)	0.648	states/eV per atom
energy relative to the elements, uncorrected	171	meV/atom
volume	13.2	Å³ per atom

```
&SYSTEM
  ibrav = 0, nat = 4, ntyp = 3
/
ATOMIC_SPECIES
Cr 52.00 Cr.upf
Re 186.21 Re.upf
Si 28.09 Si.upf
CELL_PARAMETERS angstrom
0.0000 2.9774 2.9774
2.9774 0.0000 2.9774
2.9774 2.9774 0.0000
ATOMIC_POSITIONS crystal
Cr 0.0000 0.0000 0.0000
Re 0.7500 0.7500 0.7500
Si 0.2500 0.2500 0.2500
Si 0.5000 0.5000 0.5000
```



Entry 5:
First-principles (GGA-PBE) data for a relaxed CrReSi crystal, as listed in the Alexandria database. Values from VASP.

D(E_F)	0.848	states/eV per atom
energy relative to the elements, uncorrected	-189	meV/atom
volume	12.7	Å³ per atom

```
&SYSTEM
  ibrav = 0, nat = 3, ntyp = 3
/
ATOMIC_SPECIES
Cr 52.00 Cr.upf
Re 186.21 Re.upf
Si 28.09 Si.upf
CELL_PARAMETERS angstrom
-1.4746 1.4746 4.3859
1.4746 -1.4746 4.3859
1.4746 1.4746 -4.3859
ATOMIC_POSITIONS crystal
Cr 0.0000 0.0000 0.0000
Re 0.6697 0.6697 0.0000
Si 0.3435 0.3435 0.0000
```



Entry 6:
First-principles (GGA-PBE) data for a relaxed CrRe2Si2 crystal, as listed in the Alexandria database. Values from VASP.

D(E_F)	1.161	states/eV per atom
I am not writing this article saying they shouldn’t make the movie, but I am wondering if they do make the movie who is going to go see it? Most often shows that get canceled are canceled because they can’t find an audience or the studio doesn’t know how to market the film to bring the audience in. The show won a Golden Globe, an Art Directors Guild for excellence and two Emmys and yet they couldn’t get anyone to watch it. Perhaps San Francisco Gate’s TV columnist Tim Goodman had it correct back in 2004 when he asked “‘The Wire’ and ‘Arrested Development’ — too smart to make it?” In the article he says the two shows couldn’t be anymore different, but they shared one trait, “relatively speaking, nobody’s watching either of them.”
While “The Wire” managed to eek out five seasons to the joy and satisfaction of several fans, “Arrested Development” managed only two and a miniscule third season to end it all. Perhaps the difference lies with HBO as they didn’t give up on their series, but even “Arrested Development” eyed the cable route and failed to secure a proposed 12 episode deal with Showtime. Is the show poison or did it just boil down to ratings alone as David Cross told Jimmy Kimmel way back when that he isn’t surprised Fox ditched the show considering the ratings reality shows bring in and said, “I hope Fox puts in its place, like, you know, America’s Cutest Retards. What’s left for them to do? We got midgets trying to pull an elephant. What’s left? We’ve got orphans trying to figure out who their dads are…come on. Let’s go with retards. OK? Let’s do it.”
Of course, the film adaptation does have one thing going for it, a growing and vocal fanbase. If Twilight taught us anything it’s that the louder you are the more people pay attention, even if you are screaming incoherently. On top of online fervor even MSNBC’s Keith Olbermann took time out from screaming about Republicans to talk about the potential for an “Arrested Development” movie. While I know an Olbermann endorsement is like getting a birthday party invite from the most annoying person in the world, but it’s TV and the battle needs to begin somewhere.
I have attached the Olbermann clip below along with a funny rant from David Cross giving his reasoning as to why the show was canceled.
**Calculated crystals, as found in the file:**
<<<
*w*
VASP calculation (PBE) on an optimized crystal structure of SbAsPt.

## Properties
total magnetic moment = 0.000 Bohr magnetons per cell

a = 6.397 Å, b = 6.397 Å, c = 6.397 Å
α = 152.64°, β = 148.14°, γ = 42.48°
Atoms (fractional coordinates):
Sb 0.000 0.000 0.000
As 0.731 0.731 0.000
Pt 0.347 0.347 0.000

*x*
VASP calculation (PBE) on an optimized crystal structure of SbAsPt.

## Properties
total magnetic moment = 0.000 Bohr magnetons per cell

a = 3.805 Å, b = 3.805 Å, c = 5.141 Å
α = 90.00°, β = 90.00°, γ = 120.00°
Atoms (fractional coordinates):
Sb 0.000 0.000 0.000
As 0.667 0.333 0.436
Pt 0.333 0.667 0.689

*x* is favored, and the nearest alternative lies 210 meV/atom above it.

*w*
VASP calculation (PBE) on an optimized crystal structure of SbAsPt.

## Properties
total magnetic moment = 0.000 Bohr magnetons per cell

a = 4.528 Å, b = 4.528 Å, c = 4.528 Å
α = 60.00°, β = 60.00°, γ = 60.00°
Atoms (fractional coordinates):
Sb 0.000 0.000 0.000
As 0.500 0.500 0.500
Pt 0.750 0.750 0.750

*x*
VASP calculation (PBE) on an optimized crystal structure of SbAsPt.

## Properties
total magnetic moment = 0.000 Bohr magnetons per cell

a = 6.506 Å, b = 6.314 Å, c = 6.510 Å
α = 90.00°, β = 103.09°, γ = 90.00°
Atoms (fractional coordinates):
Sb 0.149 0.123 0.351
Sb 0.149 0.377 0.851
Sb 0.851 0.623 0.149
Sb 0.851 0.877 0.649
As 0.360 0.628 0.640
As 0.360 0.872 0.140
As 0.640 0.128 0.860
As 0.640 0.372 0.360
Pt 0.261 0.510 0.254
Pt 0.261 0.990 0.754
Pt 0.739 0.010 0.246
Pt 0.739 0.490 0.746

*x* is favored, and the nearest alternative lies 201 meV/atom above it.

*w*
VASP calculation (PBE) on an optimized crystal structure of Sc2AsPt.

## Properties
total magnetic moment = 0.000 Bohr magnetons per cell

a = 3.882 Å, b = 3.882 Å, c = 5.484 Å
α = 90.00°, β = 90.00°, γ = 90.00°
Atoms (fractional coordinates):
Sc 0.000 0.000 0.000
Sc 0.500 0.500 0.498
As 0.500 0.500 0.998
Pt 0.000 0.000 0.499

*x*
VASP calculation (PBE) on an optimized crystal structure of Sc2AsPt.

## Properties
total magnetic moment = 0.000 Bohr magnetons per cell

a = 8.822 Å, b = 8.822 Å, c = 8.822 Å
α = 23.72°, β = 23.72°, γ = 23.72°
Atoms (fractional coordinates):
Sc 0.103 0.103 0.103
Sc 0.897 0.897 0.897
As 0.000 0.000 0.000
Pt 0.500 0.500 0.500

*w* is favored, and the nearest alternative lies 595 meV/atom above it.

*w*
VASP calculation (PBE) on an optimized crystal structure of Sc2AsPt.

## Properties
total magnetic moment = 0.000 Bohr magnetons per cell

a = 3.295 Å, b = 3.436 Å, c = 6.634 Å
α = 90.00°, β = 95.04°, γ = 90.00°
Atoms (fractional coordinates):
Sc 0.039 0.000 0.250
Sc 0.961 0.000 0.750
As 0.500 0.500 0.500
Pt 0.500 0.500 0.000

*x*
VASP calculation (PBE) on an optimized crystal structure of Sc2AsPt.

## Properties
total magnetic moment = 1.267 Bohr magnetons per cell

a = 4.703 Å, b = 4.703 Å, c = 4.703 Å
α = 60.00°, β = 60.00°, γ = 60.00°
Atoms (fractional coordinates):
Sc 0.000 0.000 0.000
Sc 0.250 0.250 0.250
As 0.500 0.500 0.500
Pt 0.750 0.750 0.750

*y*
>>>
**So much for the calculated crystals:**
Thanks to FilmDrunk for pointing out the MAXIM vid.